天人合一 The Continuity and Interdependence Between Tian and the Human Being (tianren heyi)
By their efforts at ars contextualis—the art of effectively contextualizing and coordinating the experience of the human being within the processes of nature in an effort to optimize the creative possibilities of the cosmos— Fu Xi and Shen Nong cultivated a thick continuity between“nurture” and “nature” expressed in the evocative images that constitute the Yijing . This perceived resonance between the human experience and the natural and cultural forum in which it occurs is made explicit in expressions that have come to characterize the relationship, such as “the continuity between the religious, natural, and cultural context, and the human experience”(tianren heyi天人合一), and the “mutual responsiveness of the numinous context and the human experience” (tianren xiangying 天人相應or tianren ganying天人感應). It is important to note that such expressions report on the continuing symbiotic mutuality of these dimensions of experience rather than on the reconciliation of two originally separate aspects of the world after the fact. Personal cultivation is not the bringing together and the “uniting”of the world and human experience, but is rather the deepening and intensifying of the productive continuities that conjoin two inseparable aspects of experience, that is, oneself and one's world.
• Next to the entry, the page also holds quantum chemistry results:
+++
Entry 1:
Density functional theory data (ωB97M-V/def2-TZVPD) for a single C2H3NO2S2 molecule.

Calculated values
E_LUMO (alpha / beta) ... -1.4322 / -1.5599 eV
Energy above the lowest of the compared OMol25 structures with the same formula, charge and spin ... 6.175 eV
Gap between HOMO and LUMO (alpha / beta) ... 7.07 / 6.98 eV
HOMO level (alpha / beta) ... -0.31256 / -0.31378 Eh
Strongest force on any atom ... 3.96 eV/Å

Element x y z (Å)
C: -0.146 0.152 0.312
C: 1.149 -0.278 0.023
N: 2.260 0.404 0.013
O: 2.227 1.820 -0.053
O: 3.379 -0.018 -0.140
S: -1.461 -0.737 -0.213
S: 1.528 -2.095 0.091
H: 1.371 2.124 0.015
H: -2.338 -0.261 0.668
H: 0.290 -2.419 0.048

=====

Entry 2:
Density functional theory data (ωB97M-V/def2-TZVPD) for a 2-piece molecular cluster, C2H3NO3 overall.

Calculated values
E_LUMO ... -2.7947 eV
Energy above the lowest of the compared OMol25 structures with the same formula, charge and spin ... 5.427 eV
Gap between HOMO and LUMO ... 6.63 eV
HOMO level ... -0.34620 Eh
Strongest force on any atom ... 8.62 eV/Å

Element x y z (Å)
O: -1.910 1.573 1.143
C: -1.142 0.622 1.005
N: -0.425 0.062 -0.032
C: 1.112 -0.516 -1.233
O: 1.741 -1.255 -0.410
O: 1.575 0.448 -1.806
H: -1.234 0.036 1.969
H: -0.819 0.290 -0.966
H: 1.103 -1.260 0.330

=====

Entry 3:
Density functional theory data (ωB97M-V/def2-TZVPD) for a 2-piece molecular cluster, C2H3NO3 overall.

Calculated values
E_LUMO ... 0.7057 eV
Energy above the lowest of the compared OMol25 structures with the same formula, charge and spin ... 2.824 eV
Gap between HOMO and LUMO ... 10.65 eV
HOMO level ... -0.36553 Eh
Strongest force on any atom ... 4.90 eV/Å

Element x y z (Å)
C: 2.309 -0.159 0.016
C: -1.009 -0.843 -0.084
N: -1.100 0.292 -0.604
O: 2.978 0.733 -0.075
O: 1.655 -1.064 0.172
O: -1.092 1.388 0.277
H: -0.909 -0.860 1.033
H: -1.136 -1.586 -0.817
H: -1.697 2.099 0.082

=====

Entry 4:
Density functional theory data (ωB97M-V/def2-TZVPD) for C2H3NO3 as an isolated structure.

Calculated values
E_LUMO ... 0.1482 eV
Energy above the lowest of the compared OMol25 structures with the same formula, charge and spin ... 3.334 eV
Gap between HOMO and LUMO ... 10.53 eV
HOMO level ... -0.38143 Eh
Strongest force on any atom ... 4.23 eV/Å

Element x y z (Å)
O: 2.359 -0.392 -0.702
C: 1.361 0.059 -0.190
N: 0.225 0.763 -0.561
C: -1.144 -0.332 0.007
O: -1.592 0.468 0.971
O: -1.516 -1.351 -0.407
H: 1.266 -0.296 0.874
H: -0.206 0.537 -1.460
H: -0.752 0.544 1.468

=====

Entry 5:
Density functional theory data (ωB97M-V/def2-TZVPD) for C2H3NO3 as an isolated structure.

Calculated values
E_LUMO ... 0.5175 eV
Energy above the lowest of the compared OMol25 structures with the same formula, charge and spin ... 5.855 eV
Gap between HOMO and LUMO ... 10.10 eV
HOMO level ... -0.35229 Eh
Strongest force on any atom ... 4.19 eV/Å

Element x y z (Å)
C: 1.052 0.446 0.140
O: -0.680 0.611 0.496
O: 1.647 -0.711 0.473
N: -0.861 -0.470 -0.645
C: -1.966 -0.192 -0.136
O: -3.140 -0.302 0.001
H: 1.512 -1.356 -0.242
+++
( Confucian Role Ethics: A Vocabulary. pp. 53-54)
Indeed, in this Confucian tradition, there is a direct corridor from the achieved consummate life to a human-centered religiousness as the highest expression of personal cultivation. Confucian religiousness—the powerful sense of achieved worth and personal belonging that arises from the concerted growth of meaningful relations—is the spirituality achieved when members of family and community aspire to contribute themselves utterly in their relations with others, and thus live inspired lives. Such religiousness is itself the source and product of the flourishing family and community, and the quality of this religious life is a direct consequence of the quality of communal living. Said another way, religiosity is not only the root of the flourishing community and the seed from which it grows, but is most importantly its mature fruit, its radiant flower. The synergy between personal cultivation and the numinous is captured in the familiar mantra that is often appealed to by students of Chinese religiousness in distinguishing Confucian familial and communal reverence from Abrahamic God-inspired worship: That is, Confucian religiousness is characterized by “the symbiotic continuity between the natural and cultural context and the human experience” (tianren heyi天人合一).
(Confucian Role Ethics: A Vocabulary, p. 92)
The basic significance of the mantra, “the continuity between the natural and cultural context, and the human experience” (tianren heyi天人合一) that is invoked to describe the Confucian religious sensibility is making this same point about potential. It is the person nourished by culture who becomes consummately human, and it is the life of the consummate human who contributes to the cultural resources that make a consummate humanity possible. Potentiality emerges in these collaborations between aspiring persons and an inspired world.
(Confucian Role Ethics: A Vocabulary, p. 156)
The argument, simply put, is that Confucian philosophers from classical times have recognized a continuity between the human experience and their natural and cultural context that is captured in the mantra tianren heyi天人合一.The nature of this continuity, however, has often been misunderstood. Instead of being a continuity between what is more or less subjective and more or less objective, respecting both the ability of the collective human community to transform its environment productively and the resistance of the natural world to this human transformation, it has been dominated by the belief that the moral subject holds almost absolute transformative powers over an infinitely malleable natural world. Such a belief has retarded an appreciation of the potential that the natural sciences hold to improve the human condition. As such, this voluntarism has become a kind of raw subjectivism that discounts the real need for collective efforts in science and technology to “humanize” nature in order to establish a productive relationship between subject and object, a relationship that Li Zehou takes to be a precondition for human freedom.
# Unrelated to this piece: data records
........
DFT (ωB97M-V/def2-TZVPD) results for C32H19IrN9 as an isolated structure at a distorted geometry.

Output
* 2S+1: 6
* charge: +2
* electronic energy: -1827.43388 a.u.
* HOMO level (alpha / beta): -11.63 / -14.37 eV

Geometry (Å):
Ir1 14.4724 6.0379 14.3143
C1 20.9487 6.8426 14.6363
C2 20.7296 6.5889 15.9881
C3 19.4616 6.3852 16.5055
C4 18.4331 6.4788 15.5880
C5 17.0043 6.2590 15.7698
N1 16.4331 5.9600 16.9499
C6 15.1475 5.8474 17.1420
C7 14.5645 5.4778 18.4178
C8 15.1646 5.3915 19.6745
C9 14.2820 5.1953 20.7492
C10 12.9141 4.9902 20.5629
C11 12.2989 5.0830 19.2953
C12 13.1783 5.2945 18.2524
C13 12.8914 5.5332 16.8628
N2 11.7450 5.2528 16.2922
C14 11.5112 5.5480 15.0155
N3 12.5014 5.8378 14.0162
C15 11.8542 5.8523 12.7759
N4 12.4122 6.0629 11.5789
C16 13.7019 6.4169 11.4242
N5 14.7225 6.5399 12.3943
C17 15.9094 6.8855 11.7962
N6 17.1616 6.9146 12.2717
C18 17.3485 6.6996 13.5728
N7 16.3926 6.4119 14.5390
C19 18.6171 6.7683 14.2282
C20 19.8862 6.9618 13.7233
C21 15.6898 6.9932 10.3803
C22 16.6092 7.0316 9.3336
C23 16.1330 6.8068 8.0555
C24 14.7688 6.5437 7.8070
C25 13.9065 6.4972 8.8774
C26 14.3676 6.6269 10.1831
C27 10.4564 5.5739 12.9846
C28 9.4594 5.5360 12.0450
C29 8.1469 5.2822 12.4831
C30 7.9431 5.0992 13.8588
C31 9.0028 5.1938 14.7987
C32 10.2448 5.4580 14.3624
N8 14.1079 5.8624 16.2523
H1 21.9505 6.8672 14.2147
H2 21.5740 6.5277 16.7341
H3 19.2779 6.1977 17.5939
H4 16.2547 5.3615 19.8603
H5 14.6692 5.2180 21.7641
H6 12.3186 4.7712 21.4533
H7 11.2203 5.0329 19.1299
H8 20.0435 7.0567 12.6447
H9 17.6398 7.3080 9.5503
H10 16.8086 6.8092 7.2096
H11 14.4042 6.3103 6.8185
H12 12.8594 6.2858 8.7637
H13 9.6659 5.6592 10.9747
H14 7.3540 5.1746 11.7336
H15 6.9283 4.9726 14.2198
H16 8.8443 4.9113 15.8748
N9 14.9043 3.6446 13.9086
H17 14.3706 3.2798 13.1534
H18 14.6220 3.2317 14.7776
H19 15.8826 3.5353 13.7070
........
(Confucian Role Ethics: A Vocabulary, p. 264)
Confucian religiousness begins from the assumption that there is a continuity and interdependence between tian 天,conventionally translated as “Heaven,” and the human being (ren人). This correlativity between tian and the particular person is often captured in the claim that tianren heyi天人合一(literally, “tian and human beings are continuous”)used to summarize religious sensibilities during this period. Hence, the Mencius observes:
For a person to realize fully one's heart-and-mind is to realize fully one's nature and character, and in so doing, one realizes tian .
Tian and “the way” ( dao 道 ) are often associated if not used interchangeably in the classical Confucian corpus. And Confucius insists that “it is the human being who broadens the way, not the way that broadens the human being.”
The continuity and interdependence between tian and the human being is reflected in the familiar line from the Mencius : “All of the myriad things are here in me.” We can explain this claim in the following way. Persons are radically situated as personsin-context, inhering as they do in a world defined by specific social, cultural, and natural conditions. Persons shape and are shaped by the field of things and events in which they reside. A person is fluid and multivalent in the sense that, in any particular situation, he or she is open to redefinition in many different ways by appeal to the roles of mother, sister, and so on. Articulated and brought into focus in any one of these roles, a person expresses the community from both a focal and a local perspective within the extended field of relationships.
An analogy might help here. The full value of any one note in a musical composition can only be assayed by understanding its place in the entire piece of music as performed. Any one note thus has implicate within it the entire score. That note may be said to focus the entire field of relationships constituted by the compositions. Important here is that the field of relationships is not circumscribed, but an unbounded reservoir of particular detail that remains open and available for further inclusion. The field of relevant detail for the particular note can be extended to include a movement in another piece by the same composer, or his entire corpus, or the musical product of a particular era, and so on.
“Persons-in-context,” like the particular note in the musical performance, are multivalent, bringing the human community and its natural surrounds into focus from their particular perspective. As such, they are more or less distinguished, more or less articulated, more or less representative of the values and cultural importances of their communities.
This language of focus and field provides us with a way of talking about the continuity and interdependence of the human being and tian presupposed in the Confucian worldview. Tian is the field, the social, cultural, and natural context, and is in some sense greater than the particular person (“ Tian has given life to and nourished excellence in me”), as well as being implicate within and brought into focus by the particular person (“all of the myriad things are here in me”). As we have noted above, tian is frequently described in anthropomorphic terms. But the relationship is bidirectional, and works the other way as well. The human being is also theomorphic. That is, when a person is successful in focusing culture and its institutions in a manner that is exemplary, and emerges as a model for his community and future generations to which they defer, he has extended himself through their patterns of deference, and has become the object of reverence. Hence, in the Confucian vocabulary, cultivation enlarges one's person ( da ren大人), so that one becomes literally“larger than life.”
( Thinking from the Han, pp. 263-265)